Last Updated on February 28, 2022 by Allison Price
How can you tell when a horse is too old to do the job you want? You can learn to recognize when it’s time for you to let go or to slow down.
Alana Harrison
My client says that “Cruzer” is her favorite horse. He’s stable, reliable, and still wins at every show. He will be 18 next year so it is time to retire. Sure gonna miss him….”
Wait I think He’s not getting old yet, but that doesn’t mean he should quit. We’ve actually seen 21-year old horses competing in World Cup Jumping in recent years. You might also consider giving the horse a job that is less demanding than retirement.
There’s also the second type of owner.
She’ll tell you, “There’s something wrong in my horse.” He’s only 24 years old and has trouble keeping up with his friends’ horses when they go on trail rides. It’s a mystery to me. Is there any way we can help him give up his energy?
“Hmmmmm,” I respond. “Twenty-four. Perhaps he is just feeling old.” After all, a horse’s 24-year-old life is equivalent to approximately 3-4 human years. That means that a 24-year-old horse can be compared to a 72-96-year-old person. Imagine your grandpa 80 years old riding down the trail. Even if your horse is healthy and strong, chances are he will have slowed down.
How can you tell if your senior horse is ready for a change? The answer to this question cannot be determined by merely looking at age. This article will explain what happens to your horse as he ages. Next, I will give you five questions to consider when you are considering reducing your horse’s workload or retiring.
He is dependent on you for his happiness and health as he gets older.
== Misplaced calculated molecules ==
********
Entry 1:
# C32H108N8O18

A 18-piece molecular cluster, C32H108N8O18 overall (the ωB97M-V functional and the def2-TZVPD basis, OMol25).

- Molar mass: 893.25 g mol⁻¹
- Relative energy (zero: lowest compared OMol25 entry of this formula, charge and spin): 367.2 kJ/mol
- Frontier orbital gap: 8.449 eV

The geometry in ORCA input format:
```
! wB97M-V def2-TZVPD RIJCOSX def2/J DEFGRID3
* xyz 0 1
C -0.728 -4.891 1.578
C -0.298 -3.638 0.749
C 0.497 -4.004 -0.484
O 1.618 -4.835 -0.397
C 2.751 -4.281 0.247
N -1.618 -3.021 0.409
H 0.157 -5.512 1.722
H -1.416 -5.612 1.136
H -1.063 -4.523 2.548
H 0.181 -2.979 1.474
H 0.700 -3.166 -1.151
H -0.145 -4.610 -1.123
H 2.476 -4.271 1.301
H 2.905 -3.292 -0.185
H 3.736 -4.718 0.084
H -2.195 -3.648 -0.133
H -2.101 -3.044 1.296
C 3.782 4.371 3.865
C 3.482 2.860 3.465
C 2.810 2.103 4.592
O 2.959 0.666 4.536
C 2.445 -0.021 5.622
N 2.803 2.770 2.196
H 4.291 4.955 3.097
H 4.445 4.455 4.726
H 2.926 4.993 4.125
H 4.442 2.369 3.309
H 1.734 2.249 4.498
H 3.144 2.379 5.592
H 1.420 0.241 5.886
H 2.995 0.114 6.553
H 2.464 -1.085 5.389
H 1.835 3.001 2.366
H 2.746 1.778 2.012
C -0.360 3.379 0.013
C -1.304 4.594 0.195
C -2.279 4.758 -0.972
O -3.378 5.592 -0.659
C -4.020 6.350 -1.689
N -2.010 4.531 1.479
H 0.188 3.551 -0.913
H -0.971 2.482 -0.085
H 0.319 3.166 0.839
H -0.732 5.513 0.328
H -2.576 3.796 -1.389
H -1.654 5.274 -1.701
H -4.883 6.997 -1.534
H -4.144 5.675 -2.536
H -3.168 6.943 -2.021
H -2.751 5.213 1.401
H -2.488 3.641 1.473
C 2.447 0.875 -0.805
C 3.657 1.678 -1.412
C 3.282 3.018 -2.175
O 4.419 3.530 -2.845
C 4.157 4.669 -3.641
N 4.760 1.862 -0.464
H 2.599 0.398 0.163
H 2.006 0.232 -1.567
H 1.678 1.625 -0.616
H 3.970 1.027 -2.227
H 2.761 3.751 -1.558
H 2.510 2.723 -2.886
H 3.382 4.593 -4.404
H 5.083 5.049 -4.073
H 3.826 5.503 -3.021
H 4.474 2.692 0.036
H 5.489 2.135 -1.107
C -4.667 -1.946 5.568
C -3.393 -2.616 5.153
C -2.431 -2.713 6.379
O -1.897 -1.439 6.741
C -1.072 -1.358 7.830
N -3.685 -3.878 4.537
H -4.439 -0.915 5.839
H -5.073 -2.377 6.482
H -5.433 -1.963 4.793
H -2.822 -1.999 4.459
H -1.594 -3.393 6.224
H -2.854 -3.103 7.305
H -0.951 -0.298 8.054
H -0.141 -1.858 7.565
H -1.513 -1.876 8.681
H -2.778 -3.954 4.100
H -3.642 -4.581 5.261
C 0.773 5.370 -5.557
C -0.572 4.895 -5.071
C -0.445 3.629 -4.201
O -1.687 3.086 -3.696
C -1.524 1.720 -3.377
N -1.128 5.927 -4.229
H 1.209 4.633 -6.231
H 1.464 5.454 -4.718
H 0.617 6.353 -6.002
H -1.197 4.663 -5.933
H 0.149 3.839 -3.312
H 0.000 2.892 -4.869
H -0.594 1.316 -2.977
H -1.544 1.236 -4.353
H -2.297 1.380 -2.688
H -1.853 6.424 -4.726
H -1.696 5.539 -3.489
C -0.720 -7.062 -4.604
C -1.763 -5.969 -4.196
C -1.177 -4.519 -4.035
O -2.121 -3.710 -3.323
C -1.826 -2.328 -3.323
N -2.779 -5.955 -5.282
H -1.184 -7.998 -4.915
H -0.021 -7.296 -3.801
H -0.206 -6.604 -5.450
H -2.226 -6.268 -3.255
H -0.937 -4.270 -5.068
H -0.194 -4.600 -3.571
H -2.587 -1.674 -2.896
H -1.416 -1.923 -4.248
H -1.009 -2.237 -2.607
H -2.378 -5.821 -6.199
H -3.304 -5.118 -5.077
C 1.618 -4.343 -6.564
********
Aging Basics
Your horse will not be spared from the effects of Father Time no matter how hard you try. With age, there are inevitable physiological and structural changes that occur. It all starts with your horse’s teeth.
The “reserve crown” underneath the gum line is what your horse’s teeth are made of. This reserve crown gradually erupts to replace any damaged tooth surfaces from grinding his food. He eventually uses all of the reserve crown as he gets older.
He’ll find it harder to chew his food properly. He will lose weight due to the difficulty he has with digestion from larger food particles.
His digestive system is also being stressed by his compromised chewing. His ability to absorb nutrients (proteins and vitamins) is affected by chronic damage from parasites as well as wear and tear.
The difficulty in digesting proteins can cause a variety of problems, most notably muscle atrophy. He may experience a drop in his back and lose strength. He could also get chronic diarrhea.

Chronic lameness can be caused by wear and tear to your horse’s joints, soft tissues, and the cumulative effects from old injuries. Uncomfortable horses tend to be less mobile, which can lead to a loss of strength and condition.
And if he’s been administered a lot of medications (such as non-steroidal anti-inflammatories–NSAIDs) over the years to help manage musculoskeletal pain, he may even experience kidney compromise or other organ damage.
This pony was loved by children even into her 30s and was a favorite walk-trot mount. She is living proof that age doesn’t necessarily determine how old you are.
Sarah Fenstermacher
Your horse’s immune system is less efficient as he gets older, making him more susceptible to parasite loads and infectious diseases. You also have a higher risk of your horse developing endocrine conditions (such as Cushing’s or insulin resistance), which can accelerate the aging process.
As many as 30% of horses aged over 20 years old have Cushing’s Disease.
How old is an old horse? Experts agree that a horse is considered to be geriatric when it reaches 18-20 years old. But the bigger question is: How old is too? This requires a multifaceted answer.
Is my Horse Too Old To
Consider each horse’s individual circumstances when making decisions about whether or not he is too old. These five questions will help determine what your geriatric horse is capable of doing.
Question #1 – Performance is still up to par? Are you finding that your once solid reining horse is now slowing down in his lead changes? Is your trail horse having difficulty keeping up with the rest?
You can determine if your horse is experiencing sudden performance declines by having a veterinary exam. If your vet is positive, it might be time to make some changes.
Example: Dasher, a 20-year old Quarter Horse gelding who’s been a top barrel runner for many years, is . He qualified for and participated in the NFR numerous times. He was consistent in adding a second to his time this season. He’s not disabled and his lab work (including Cushing’s disease testing) were normal.
Is he too old for a barrel horse? No! He may not be able to compete at the highest levels. As he gets older, it may be time to decrease his workload. This former high-level performer might be able to have a rewarding second career as a teacher of youth riders or an older amateur.
**Attached: quantum chemistry results:**
Record 1
ORCA calculation (wB97M-V/def2-TZVPD) on a cluster of 7 separate species, C15H47BO6 in total.

Properties
* LUMO: 0.4 eV
* charge: 0
* multiplicity: 1
* orbital gap: 9.856 eV
* energy relative to the best compared isomer or geometry (same formula, charge and spin): 10.05 kcal/mol

Last column: Mulliken charge in e.
Atoms and positions in Å:
O: -7.258 -39.131 15.600  0.49
H: -7.799 -39.405 14.730  0.19
H: -6.990 -39.939 16.124  0.13
H: -7.817 -38.516 16.151  0.42
B: -9.089 -39.868 13.599  0.15
H: -7.927 -39.773 13.315  -0.37
H: -9.564 -38.817 13.908  -0.32
H: -9.673 -40.271 12.643  -0.23
H: -9.181 -40.653 14.505  -0.14
C: -5.422 -38.032 12.544  -0.96
C: -3.967 -37.760 12.884  1.11
C: -2.933 -38.277 11.899  -1.62
O: -3.835 -36.335 13.029  -0.55
H: -5.717 -37.428 11.684  0.39
H: -6.085 -37.831 13.380  0.01
H: -5.589 -39.068 12.231  0.18
H: -3.729 -38.276 13.826  -0.17
H: -1.914 -38.161 12.280  0.44
H: -2.975 -37.802 10.915  0.46
H: -3.034 -39.361 11.783  0.37
H: -3.145 -35.989 12.462  0.34
C: -9.219 -36.225 18.613  -1.07
C: -8.741 -36.056 17.169  0.63
C: -7.253 -35.831 17.070  -1.36
O: -9.075 -37.309 16.472  -0.60
H: -8.876 -35.359 19.192  0.40
H: -8.885 -37.177 19.025  0.00
H: -10.304 -36.227 18.763  0.37
H: -9.275 -35.234 16.679  0.31
H: -6.964 -34.841 17.428  0.46
H: -6.935 -35.915 16.031  0.35
H: -6.681 -36.531 17.685  0.19
H: -10.029 -37.239 16.347  0.24
C: -9.232 -43.677 12.078  -1.31
C: -8.282 -43.547 13.241  0.79
C: -7.361 -44.761 13.405  -1.30
O: -7.341 -42.454 12.951  -0.65
H: -10.036 -44.404 12.230  0.38
H: -8.741 -43.939 11.140  0.31
H: -9.740 -42.721 11.918  0.32
H: -8.762 -43.298 14.194  0.25
H: -6.576 -44.538 14.124  0.24
H: -6.936 -44.986 12.426  0.32
H: -7.925 -45.647 13.707  0.40
H: -7.929 -41.658 13.005  0.07
C: -4.174 -40.806 14.951  -1.14
C: -4.817 -42.096 15.426  0.66
C: -4.410 -42.479 16.835  -1.50
O: -6.259 -41.860 15.528  -0.34
H: -3.098 -40.928 14.779  0.48
H: -4.313 -40.004 15.678  0.23
H: -4.555 -40.460 13.989  0.09
H: -4.629 -42.941 14.756  0.46
H: -4.778 -43.461 17.138  0.38
H: -4.695 -41.741 17.576  0.14
H: -3.321 -42.618 16.918  0.42
H: -6.662 -42.191 14.692  0.09
C: -9.040 -40.526 18.493  -1.05
C: -7.850 -40.008 19.267  0.78
C: -7.201 -41.096 20.111  -1.58
O: -6.861 -39.561 18.289  -0.40
H: -9.816 -39.771 18.346  0.25
H: -9.528 -41.367 18.990  0.41
H: -8.796 -40.904 17.498  0.14
H: -8.076 -39.164 19.927  0.15
H: -7.893 -41.503 20.850  0.42
H: -6.295 -40.726 20.604  0.40
H: -6.839 -41.927 19.500  0.31
H: -6.134 -39.226 18.830  0.17


Record 2
ORCA calculation (wB97M-V/def2-TZVPD) on a cluster of 9 separate species, C15H48O9S6 in total.

Properties
* LUMO (spin up / spin down): -3.4 / -8.2 eV
* charge: +1
* multiplicity: 2
* orbital gap (spin up / spin down): 7.607 / 2.830 eV
* ⟨S²⟩: 0.757

Last column: Mulliken charge in e.
Atoms and positions in Å:
C: 4.074 -1.608 1.661  -0.40
O: 3.762 -0.962 0.452  -0.57
H: 5.144 -1.803 1.586  0.31
H: 3.865 -0.988 2.532  0.20
H: 3.534 -2.548 1.775  0.10
Question #2: Does he have lameness? Has your horse been diagnosed with navicular-bone degeneration or a chronic high-suspensory-ligament injury? You might have been managing your horse’s condition for years using medications, injections or shockwave therapy. If his lameness is so severe that it needs more frequent medication and ongoing treatment, or he has reached his golden years, then it may be time to give up.
Same applies to the trusted old performer who sustains an acute, severe injury that will require intensive treatment and months of rehabilitation.
Example: trooper is a 22 year-old roping horse who suddenly became severely paralysed in his hind leg. His stifle had a severe tear, which could take up to a year to heal.
Is it too late to plan for a complete recovery and a return-to-work? Probably. The elderly gentleman is able to relax and enjoy retirement without having to worry about a long-term plan to return to work.
Question #3: How do you maintain your horse’s weight and condition? Is your 20-year old horse happy, healthy, and shiny? Is he becoming a bit sluggish and swayy, even after you have increased his feed and switched him to a senior diet.
Do you lose weight quickly when you travel long distances to attend events? Is he able to bounce back right away or does it take him a few weeks before he feels normal again?
It might be a good idea to cut down on the work that your horse does if he is having difficulty maintaining his weight.
Example: Cedar, a 22-year old Arabian gelding with serious dental problems, is . His chronic diarrhea was recently diagnosed and it is still possible to see his ribs even with a senior-formulated diet. When he was younger, he participated in a few 100-mile endurance races. In recent years, he has returned to 50-mile and 25-mile rides.
Is he too old for endurance racing? Fair enough, yes. He may not be able to maintain his weight if he is having difficulty sustaining it. Cedar might be ready to go light trail riding.
Question #4: Are there any other health issues? Is your horse suffering from a chronic condition, such as kidney disease or Cushing’s syndrome? Chronic health problems can accelerate the aging process. Depending on the condition, you may need to avoid certain activities in order to keep your horse as healthy and happy as possible.
Sinbad, an 18-year old Thoroughbred Thoroughbred mare, was recently diagnosed with chronic renal failure. He drinks a lot and doesn’t keep his weight down. His veterinarian advised him that Sinbad’s health is best protected if he has good hydration. Can the gelding be used in his lesson program at the barn, given this?
He’s probably not, unless he is used very lightly. Sinbad should avoid fluid loss via sweat due to his condition. He also needs to eat all the calories he can to maintain his weight. Sinbad, who has a chronic illness that complicates his aging process should be retired from work.
Question #5: Are you happy to see me at the barn? The most important question is whether your horse seems happy. Do you see him smile when you approach his stall? Or do you feel like he is avoiding you. Is he happy with his job? Or does he resist your commands and wiggle his tail?
Your horse should be happy and enjoying his work. If your horse is grumpy, sore, or sour, it may be time to retire.
Suzy, a 37-year old pony that is used in a therapeutic riding program as a walk/trot horse. She is in great shape, and even though she was diagnosed with Cushing’s disease twenty years ago, her condition can be managed with medication. She greets her young riders with a smile and a nicker and then trots around the arena with them all.
Is she too old for her job? No! Because “how old you are” is dependent on much more than just years.
A well-cared for oldster, such as this one at the Colorado Therapeutic Riding Center can go on to be therapy mounts.
Michelle Miller
Is my older mare too old to breed?
American Quarter Horse Association records a 42-year old mare who gave birth successfully. Is that what you should be expecting? It is not.
A mare’s fertility starts to decline between 15 and 20 years of age due to a variety of factors, including poor egg quality, irregular heat cycles and compromised uterine health. Like everything else, each mare’s answer to the question “How old is too old?” will vary.
Your mare is more likely to conceive and bear a healthy foal if she has given birth to foals in the past than a maiden mare. Your mare must be in good health.
Consider two things before you decide to breed an older mare. It may cost more to breed an older mare successfully than one that is younger. She will likely need more intensive care and may need to be bred in multiple cycles before she conceives.
Zweiten, she is at higher risk for complications during pregnancy and foaling, including a potentially fatal rupture her uterine vessel, which is more common in older foaling mares.